To do >
Copy all of the block underneath without altering anything.
Material >
'''
1:
The following is a DFT calculation (PBE-GGA) of a relaxed Lu2MgSe4 crystal.

Cell lengths 7.333, 8.489, 13.809 Å; angles 81.08, 84.81, 89.96 degrees
Positions (direct):
Lu 0.132 0.446 0.202
Lu 0.132 0.954 0.199
Lu 0.258 0.125 0.500
Lu 0.363 0.300 0.799
Lu 0.637 0.700 0.201
Lu 0.742 0.875 0.500
Lu 0.868 0.046 0.801
Lu 0.868 0.554 0.798
Mg 0.251 0.625 0.502
Mg 0.367 0.801 0.798
Mg 0.633 0.199 0.202
Mg 0.749 0.375 0.498
Se 0.100 0.403 0.397
Se 0.101 0.899 0.395
Se 0.191 0.026 0.876
Se 0.191 0.537 0.875
Se 0.312 0.719 0.123
Se 0.320 0.219 0.124
Se 0.396 0.846 0.608
Se 0.401 0.352 0.604
Se 0.599 0.648 0.396
Se 0.604 0.154 0.392
Se 0.680 0.781 0.876
Se 0.688 0.281 0.877
Se 0.809 0.463 0.125
Se 0.809 0.974 0.124
Se 0.899 0.101 0.605
Se 0.900 0.597 0.603

2:
The following is a DFT calculation (PBE-GGA) of a relaxed Lu2MgSe4 crystal.

Cell lengths 7.456, 7.456, 7.456 Å; angles 110.31, 110.31, 107.81 degrees
Positions (direct):
Lu 0.007 0.625 0.882
Lu 0.375 0.257 0.382
Lu 0.743 0.125 0.118
Lu 0.875 0.993 0.618
Mg 0.250 0.750 0.500
Mg 0.500 0.500 0.000
Se 0.009 0.880 0.260
Se 0.120 0.380 0.129
Se 0.130 0.370 0.629
Se 0.251 0.991 0.871
Se 0.499 0.870 0.240
Se 0.620 0.749 0.740
Se 0.630 0.259 0.760
Se 0.741 0.501 0.371

The most stable arrangement is 2, and the next structure is 0.059 eV/atom less stable.

1:
The following is a DFT calculation (PBE-GGA) of a relaxed Er2MgSe4 crystal.

Cell lengths 13.085, 3.982, 13.924 Å; angles 90.00, 90.00, 90.00 degrees
Positions (direct):
Er 0.113 0.250 0.077
Er 0.144 0.250 0.703
Er 0.356 0.750 0.203
Er 0.387 0.750 0.577
Er 0.613 0.250 0.423
Er 0.644 0.250 0.797
Er 0.856 0.750 0.297
Er 0.887 0.750 0.923
Mg 0.117 0.750 0.439
Mg 0.383 0.250 0.939
Mg 0.617 0.750 0.061
Mg 0.883 0.250 0.561
Se 0.017 0.750 0.612
Se 0.033 0.250 0.881
Se 0.218 0.250 0.255
Se 0.244 0.250 0.516
Se 0.256 0.750 0.016
Se 0.282 0.750 0.755
Se 0.467 0.750 0.381
Se 0.483 0.250 0.112
Se 0.517 0.750 0.888
Se 0.533 0.250 0.619
Se 0.718 0.250 0.245
Se 0.744 0.250 0.984
Se 0.756 0.750 0.484
Se 0.782 0.750 0.745
Se 0.967 0.750 0.119
Se 0.983 0.250 0.388

2:
The following is a DFT calculation (PBE-GGA) of a relaxed Er2MgSe4 crystal.

Cell lengths 7.417, 8.594, 13.830 Å; angles 80.93, 84.66, 89.98 degrees
Positions (direct):
Er 0.132 0.445 0.201
Er 0.132 0.955 0.198
Er 0.258 0.126 0.500
Er 0.364 0.300 0.800
Er 0.636 0.700 0.200
Er 0.742 0.874 0.500
Er 0.868 0.045 0.802
Er 0.868 0.555 0.799
Mg 0.251 0.623 0.503
Mg 0.367 0.800 0.798
Mg 0.633 0.200 0.202
Mg 0.749 0.377 0.497
Se 0.097 0.405 0.398
Se 0.104 0.897 0.396
Se 0.193 0.540 0.874
Se 0.194 0.023 0.874
Se 0.311 0.719 0.123
Se 0.325 0.219 0.125
Se 0.394 0.845 0.609
Se 0.404 0.354 0.603
Se 0.596 0.646 0.397
Se 0.606 0.155 0.391
Se 0.675 0.781 0.875
Se 0.689 0.281 0.877
Se 0.806 0.977 0.126
Se 0.807 0.460 0.126
Se 0.896 0.103 0.604
Se 0.903 0.595 0.602

The most stable arrangement is 1, and the next structure is 0.120 eV/atom less stable.

1:
The following is a DFT calculation (PBE-GGA) of a relaxed K3NaP4H4O14 crystal.

Cell lengths 9.434, 9.434, 11.354 Å; angles 99.09, 99.09, 45.90 degrees
Positions (direct):
K 0.138 0.862 0.750
K 0.168 0.552 0.012
K 0.448 0.832 0.488
K 0.552 0.168 0.512
K 0.832 0.448 0.988
K 0.862 0.138 0.250
Na 0.000 0.500 0.500
Na 0.500 0.000 0.000
P 0.175 0.220 0.756
P 0.182 0.678 0.397
P 0.220 0.175 0.256
P 0.322 0.818 0.103
P 0.678 0.182 0.897
P 0.780 0.825 0.744
P 0.818 0.322 0.603
P 0.825 0.780 0.244
H 0.123 0.477 0.732
H 0.390 0.488 0.259
H 0.477 0.123 0.232
H 0.488 0.390 0.759
H 0.512 0.610 0.241
H 0.523 0.877 0.768
H 0.610 0.512 0.741
H 0.877 0.523 0.268
O 0.006 0.315 0.206
O 0.050 0.682 0.280
O 0.139 0.855 0.097
O 0.145 0.861 0.403
O 0.173 0.610 0.504
O 0.186 0.260 0.889
O 0.197 0.339 0.687
O 0.260 0.186 0.389
O 0.315 0.006 0.706
O 0.318 0.950 0.220
O 0.339 0.197 0.187
O 0.390 0.827 0.996
O 0.402 0.489 0.345
O 0.489 0.402 0.845
O 0.511 0.598 0.155
O 0.598 0.511 0.655
O 0.610 0.173 0.004
O 0.661 0.803 0.813
O 0.682 0.050 0.780
O 0.685 0.994 0.294
'''
Done >
1:
The following is a DFT calculation (PBE-GGA) of a relaxed Lu2MgSe4 crystal.

Cell lengths 7.333, 8.489, 13.809 Å; angles 81.08, 84.81, 89.96 degrees
Positions (direct):
Lu 0.132 0.446 0.202
Lu 0.132 0.954 0.199
Lu 0.258 0.125 0.500
Lu 0.363 0.300 0.799
Lu 0.637 0.700 0.201
Lu 0.742 0.875 0.500
Lu 0.868 0.046 0.801
Lu 0.868 0.554 0.798
Mg 0.251 0.625 0.502
Mg 0.367 0.801 0.798
Mg 0.633 0.199 0.202
Mg 0.749 0.375 0.498
Se 0.100 0.403 0.397
Se 0.101 0.899 0.395
Se 0.191 0.026 0.876
Se 0.191 0.537 0.875
Se 0.312 0.719 0.123
Se 0.320 0.219 0.124
Se 0.396 0.846 0.608
Se 0.401 0.352 0.604
Se 0.599 0.648 0.396
Se 0.604 0.154 0.392
Se 0.680 0.781 0.876
Se 0.688 0.281 0.877
Se 0.809 0.463 0.125
Se 0.809 0.974 0.124
Se 0.899 0.101 0.605
Se 0.900 0.597 0.603

2:
The following is a DFT calculation (PBE-GGA) of a relaxed Lu2MgSe4 crystal.

Cell lengths 7.456, 7.456, 7.456 Å; angles 110.31, 110.31, 107.81 degrees
Positions (direct):
Lu 0.007 0.625 0.882
Lu 0.375 0.257 0.382
Lu 0.743 0.125 0.118
Lu 0.875 0.993 0.618
Mg 0.250 0.750 0.500
Mg 0.500 0.500 0.000
Se 0.009 0.880 0.260
Se 0.120 0.380 0.129
Se 0.130 0.370 0.629
Se 0.251 0.991 0.871
Se 0.499 0.870 0.240
Se 0.620 0.749 0.740
Se 0.630 0.259 0.760
Se 0.741 0.501 0.371

The most stable arrangement is 2, and the next structure is 0.059 eV/atom less stable.

1:
The following is a DFT calculation (PBE-GGA) of a relaxed Er2MgSe4 crystal.

Cell lengths 13.085, 3.982, 13.924 Å; angles 90.00, 90.00, 90.00 degrees
Positions (direct):
Er 0.113 0.250 0.077
Er 0.144 0.250 0.703
Er 0.356 0.750 0.203
Er 0.387 0.750 0.577
Er 0.613 0.250 0.423
Er 0.644 0.250 0.797
Er 0.856 0.750 0.297
Er 0.887 0.750 0.923
Mg 0.117 0.750 0.439
Mg 0.383 0.250 0.939
Mg 0.617 0.750 0.061
Mg 0.883 0.250 0.561
Se 0.017 0.750 0.612
Se 0.033 0.250 0.881
Se 0.218 0.250 0.255
Se 0.244 0.250 0.516
Se 0.256 0.750 0.016
Se 0.282 0.750 0.755
Se 0.467 0.750 0.381
Se 0.483 0.250 0.112
Se 0.517 0.750 0.888
Se 0.533 0.250 0.619
Se 0.718 0.250 0.245
Se 0.744 0.250 0.984
Se 0.756 0.750 0.484
Se 0.782 0.750 0.745
Se 0.967 0.750 0.119
Se 0.983 0.250 0.388

2:
The following is a DFT calculation (PBE-GGA) of a relaxed Er2MgSe4 crystal.

Cell lengths 7.417, 8.594, 13.830 Å; angles 80.93, 84.66, 89.98 degrees
Positions (direct):
Er 0.132 0.445 0.201
Er 0.132 0.955 0.198
Er 0.258 0.126 0.500
Er 0.364 0.300 0.800
Er 0.636 0.700 0.200
Er 0.742 0.874 0.500
Er 0.868 0.045 0.802
Er 0.868 0.555 0.799
Mg 0.251 0.623 0.503
Mg 0.367 0.800 0.798
Mg 0.633 0.200 0.202
Mg 0.749 0.377 0.497
Se 0.097 0.405 0.398
Se 0.104 0.897 0.396
Se 0.193 0.540 0.874
Se 0.194 0.023 0.874
Se 0.311 0.719 0.123
Se 0.325 0.219 0.125
Se 0.394 0.845 0.609
Se 0.404 0.354 0.603
Se 0.596 0.646 0.397
Se 0.606 0.155 0.391
Se 0.675 0.781 0.875
Se 0.689 0.281 0.877
Se 0.806 0.977 0.126
Se 0.807 0.460 0.126
Se 0.896 0.103 0.604
Se 0.903 0.595 0.602

The most stable arrangement is 1, and the next structure is 0.120 eV/atom less stable.

1:
The following is a DFT calculation (PBE-GGA) of a relaxed K3NaP4H4O14 crystal.

Cell lengths 9.434, 9.434, 11.354 Å; angles 99.09, 99.09, 45.90 degrees
Positions (direct):
K 0.138 0.862 0.750
K 0.168 0.552 0.012
K 0.448 0.832 0.488
K 0.552 0.168 0.512
K 0.832 0.448 0.988
K 0.862 0.138 0.250
Na 0.000 0.500 0.500
Na 0.500 0.000 0.000
P 0.175 0.220 0.756
P 0.182 0.678 0.397
P 0.220 0.175 0.256
P 0.322 0.818 0.103
P 0.678 0.182 0.897
P 0.780 0.825 0.744
P 0.818 0.322 0.603
P 0.825 0.780 0.244
H 0.123 0.477 0.732
H 0.390 0.488 0.259
H 0.477 0.123 0.232
H 0.488 0.390 0.759
H 0.512 0.610 0.241
H 0.523 0.877 0.768
H 0.610 0.512 0.741
H 0.877 0.523 0.268
O 0.006 0.315 0.206
O 0.050 0.682 0.280
O 0.139 0.855 0.097
O 0.145 0.861 0.403
O 0.173 0.610 0.504
O 0.186 0.260 0.889
O 0.197 0.339 0.687
O 0.260 0.186 0.389
O 0.315 0.006 0.706
O 0.318 0.950 0.220
O 0.339 0.197 0.187
O 0.390 0.827 0.996
O 0.402 0.489 0.345
O 0.489 0.402 0.845
O 0.511 0.598 0.155
O 0.598 0.511 0.655
O 0.610 0.173 0.004
O 0.661 0.803 0.813
O 0.682 0.050 0.780
O 0.685 0.994 0.294